
Toddlers are enchanting little people who are more involved in touching and exploring things. The long hugs and kisses embrace our hearts with love and affection. The other times as parents you have to deal with the tantrum and aggression they throw. You love spending time with them, and the funny conversations with them meltdowns your heart. With the never-ending love, you have to handle the freak-outs and emotional drives as well.

Toddlers may show aggressive behaviors while playing with other children or siblings, such as hitting, biting, express frustration, not sharing toys with other children, and exerting independence. When these all things go out of control, what could help now? Sometimes, this breakdown the parents when they see the constant behaviors, but what you can do to control? Don’t worry these tips are parental basics!

Learn about your Toddler’s Triggers

The triggers of aggression are different every time, some kids throw tantrums when they are tired or hungry, and some toddlers become frustrated when they need the attention of their parents. Moreover, in other cases children may act out when they are in a stressful situation like moving to a new house or daycare.

Next to the text, the page also holds records of crystals.
+++
# 1
# Er3Ni3Sb4

Crystalline Er3Ni3Sb4 at its relaxed geometry (PBE-GGA, Alexandria).

```
data_Er3Ni3Sb4
_chemical_formula_sum 'Er12 Ni12 Sb16'
_space_group_name_H-M_alt 'I -4 3 d'
_space_group_IT_number 220
_space_group_name_Hall 'I -4bd 2c 3'
_cell_length_a 9.4455
_cell_length_b 9.4455
_cell_length_c 9.4455
_cell_angle_alpha 90.00
_cell_angle_beta 90.00
_cell_angle_gamma 90.00
loop_
_atom_site_label
_atom_site_type_symbol
_atom_site_fract_x
_atom_site_fract_y
_atom_site_fract_z
Er1 Er 0.0000 0.2500 0.3750
Ni1 Ni 0.0000 0.2500 0.8750
Sb1 Sb 0.0714 0.0714 0.0714
```

Output
Raw total energy, eV/cell: -221.6
Formation energy without anion corrections, eV per formula unit: -7.9

# 2
# Er3Ni5Sb12

Crystalline Er3Ni5Sb12 at its relaxed geometry (PBE-GGA, Alexandria).

```
data_Er3Ni5Sb12
_chemical_formula_sum 'Er24 Ni40 Sb96'
_space_group_name_H-M_alt 'I a -3 d'
_space_group_IT_number 230
_space_group_name_Hall '-I 4bd 2c 3'
_cell_length_a 16.0504
_cell_length_b 16.0504
_cell_length_c 16.0504
_cell_angle_alpha 90.00
_cell_angle_beta 90.00
_cell_angle_gamma 90.00
loop_
_atom_site_label
_atom_site_type_symbol
_atom_site_fract_x
_atom_site_fract_y
_atom_site_fract_z
Er1 Er 0.0000 0.2500 0.1250
Ni1 Ni 0.0000 0.0000 0.0000
Ni2 Ni 0.0000 0.2500 0.3750
Sb1 Sb 0.0385 0.0642 0.6411
```

Output
Raw total energy, eV/cell: -759.6
Formation energy without anion corrections, eV per formula unit: -2.9

# 3
# Er6NiSb3

Crystalline Er6NiSb3 at its relaxed geometry (PBE-GGA, Alexandria).

```
data_Er6NiSb3
_chemical_formula_sum 'Er24 Ni4 Sb12'
_space_group_name_H-M_alt 'C m c 21'
_space_group_IT_number 36
_space_group_name_Hall 'C 2c -2'
_cell_length_a 10.8642
_cell_length_b 15.2677
_cell_length_c 6.8299
_cell_angle_alpha 90.00
_cell_angle_beta 90.00
_cell_angle_gamma 90.00
loop_
_atom_site_label
_atom_site_type_symbol
_atom_site_fract_x
_atom_site_fract_y
_atom_site_fract_z
Er1 Er 0.0000 0.0178 0.0000
Er2 Er 0.0000 0.2418 0.9341
Er3 Er 0.1623 0.2677 0.4256
Er4 Er 0.1975 0.4384 0.8074
Ni1 Ni 0.0000 0.1486 0.2666
Sb1 Sb 0.0000 0.4334 0.4884
Sb2 Sb 0.1773 0.1071 0.6991
```

Output
Raw total energy, eV/cell: -204.0
Formation energy without anion corrections, eV per formula unit: -5.5

# 4
# ErNiSb2

Crystalline ErNiSb2 at its relaxed geometry (PBE-GGA, Alexandria).

```
data_ErNiSb2
_chemical_formula_sum 'Er3 Ni3 Sb6'
_space_group_name_H-M_alt 'R -3 m'
_space_group_IT_number 166
_space_group_name_Hall '-R 3 2"'
_cell_length_a 3.5047
_cell_length_b 3.5047
_cell_length_c 28.2892
_cell_angle_alpha 90.00
_cell_angle_beta 90.00
_cell_angle_gamma 120.00
loop_
_atom_site_label
_atom_site_type_symbol
_atom_site_fract_x
_atom_site_fract_y
_atom_site_fract_z
Er1 Er 0.0000 0.0000 0.0000
Ni1 Ni 0.0000 0.0000 0.5000
Sb1 Sb 0.0000 0.0000 0.1088
```

Output
Raw total energy, eV/cell: -56.2
Formation energy without anion corrections, eV per formula unit: -0.1

# 5
# Er2NiSb

Crystalline Er2NiSb at its relaxed geometry (PBE-GGA, Alexandria).

```
data_Er2NiSb
+++

It is important to pay attention to every mysterious act, try to understand the triggers, and avoid the scenarios. Be around your kid give hug and hold the hands and potentially try to control them from exerting aggression.

Keep your Child Calm and Relax

When toddlers are showing aggressive behaviors, sometimes the parents also become aggressive. When parents and kids both showing emotions, it increases aggression in both. Parents should regulate their emotional state and deal with their behavior with love and self-control. Children can only become stable when they get affection and love from their parents.

**What comes next are calculated crystals, not part of the page:**
+++
[1]
A plane-wave DFT calculation with PBE was carried out for a relaxed structure of AgTe2Cl.

Summary:
Formation energy from raw total energies in eV/atom: 0.22
Crystal system: orthorhombic
Calculated total energy in eV/atom: -2.5256
Symmetry: Cmmm

a b c (Å): 6.185 6.185 3.180
angles (deg): 90.00 90.00 122.42
Positions (direct):
Ag: 0.000 0.000 0.000
Te: 0.000 0.500 0.500
Te: 0.500 0.000 0.500
Cl: 0.500 0.500 0.000

[2]
A plane-wave DFT calculation with PBE was carried out for a relaxed structure of Na2Tl4In.

Summary:
Distance to the lowest polymorph of the same formula in meV per atom: 0
Crystal system: tetragonal
Calculated total energy in eV/atom: -2.1404
Symmetry: I-4

a b c (Å): 8.190 8.190 8.190
angles (deg): 109.61 109.61 109.20
Positions (direct):
Na: 0.124 0.264 0.639
Na: 0.515 0.876 0.140
Na: 0.625 0.485 0.361
Na: 0.736 0.375 0.860
Tl: 0.046 0.642 0.761
Tl: 0.206 0.466 0.097
Tl: 0.358 0.119 0.404
Tl: 0.369 0.109 0.903
Tl: 0.534 0.631 0.740
Tl: 0.715 0.954 0.596
Tl: 0.881 0.285 0.239
Tl: 0.891 0.794 0.260
In: 0.000 0.000 0.000
In: 0.250 0.750 0.500

[3]
A plane-wave DFT calculation with PBE was carried out for a relaxed structure of Hf2SiRh2.

Summary:
Formation energy from raw total energies in eV/atom: -0.69
Crystal system: tetragonal
Calculated total energy in eV/atom: -8.6925
Symmetry: P4/mbm

a b c (Å): 7.182 7.182 3.373
angles (deg): 90.00 90.00 90.00
Positions (direct):
Hf: 0.170 0.330 0.000
Hf: 0.330 0.830 0.000
Hf: 0.670 0.170 0.000
Hf: 0.830 0.670 0.000
Si: 0.000 0.000 0.500
Si: 0.500 0.500 0.500
Rh: 0.135 0.635 0.500
Rh: 0.365 0.135 0.500
Rh: 0.635 0.865 0.500
Rh: 0.865 0.365 0.500

[4]
A plane-wave DFT calculation with PBE was carried out for a relaxed structure of PmHo3Er2.

Summary:
Distance to the lowest polymorph of the same formula in meV per atom: 0
Crystal system: triclinic
Calculated total energy in eV/atom: -4.6051
Symmetry: P-1

a b c (Å): 7.125 7.132 8.784
angles (deg): 78.24 78.28 60.08
Positions (direct):
Pm: 0.250 0.250 0.000
Pm: 0.750 0.750 0.000
Ho: 0.139 0.139 0.665
Ho: 0.250 0.750 0.000
Ho: 0.361 0.861 0.336
Ho: 0.639 0.139 0.664
Ho: 0.750 0.250 0.000
Ho: 0.861 0.861 0.335
Er: 0.140 0.639 0.664
Er: 0.361 0.361 0.335
Er: 0.639 0.639 0.665
Er: 0.860 0.361 0.336

Q: Number 3 is which compound?
A: Hf2SiRh2

Q: Which formula does entry 2 have?
A: Na2Tl4In

What did the second record say?
A plane-wave DFT calculation with PBE was carried out for a relaxed structure of Na2Tl4In.

Summary:
Distance to the lowest polymorph of the same formula in meV per atom: 0
Crystal system: tetragonal
Calculated total energy in eV/atom: -2.1404
Symmetry: I-4

a b c (Å): 8.190 8.190 8.190
angles (deg): 109.61 109.61 109.20
Positions (direct):
Na: 0.124 0.264 0.639
Na: 0.515 0.876 0.140
Na: 0.625 0.485 0.361
Na: 0.736 0.375 0.860
Tl: 0.046 0.642 0.761
Tl: 0.206 0.466 0.097
Tl: 0.358 0.119 0.404
Tl: 0.369 0.109 0.903
Tl: 0.534 0.631 0.740
Tl: 0.715 0.954 0.596
Tl: 0.881 0.285 0.239
Tl: 0.891 0.794 0.260
In: 0.000 0.000 0.000
+++

Teach them Good Behaviors

It is important to praise your children even they are not doing something extraordinary. Appreciation builds self-esteem and brings positive vibes. Parents should teach their children good social behavior, and when they act well, appreciate them by saying ‘you behave so nice today, it makes us happy when you share your toys with other children’. Children learn from their house, and when absorbing positivity from the surroundings they act positively in gatherings.

Don’t Compensation to Tantrums

These materials data were left in the text by mistake:
- - -
No. 1
Entry from OQMD: crystalline CuBiSbF at its relaxed geometry (PBE).

The value obtained for the energy is -3.7557 eV/atom. The value obtained for the energy above the most stable polymorph in this dataset is 1.21 eV per formula unit.

It has space group P4/nmm (No. 129, origin choice 2), with a = 4.795 Å, b = 4.795 Å, c = 6.918 Å, α = 90.00°, β = 90.00° and γ = 90.00°. The distinct sites, in fractional coordinates, are Cu at (0.250, 0.250, 0.225), Bi at (0.250, 0.750, 0.000), Sb at (0.250, 0.250, 0.602) and F at (0.250, 0.750, 0.500).

---

No. 2
Entry from OQMD: crystalline SmCdPd at its relaxed geometry (PBE).

Its energy of formation from the pure elements is -472.4 meV/atom. The value obtained for the energy is -4.0663 eV/atom.

It has space group P-62m (No. 189), with a = 7.4870 Å, b = 7.4870 Å, c = 4.2426 Å, α = 90.00°, β = 90.00° and γ = 120.00°. The distinct sites, in fractional coordinates, are Sm at (0.0000, 0.5853, 0.0000), Cd at (0.0000, 0.0000, 0.0000), Cd at (0.3333, 0.6667, 0.5000) and Pd at (0.0000, 0.2522, 0.5000).

---

No. 3
Entry from OQMD: crystalline PmAuSeO at its relaxed geometry (PBE).

The value obtained for the energy is -5.9156 eV/atom. The value obtained for the energy above the most stable polymorph in this dataset is 0.35 eV per formula unit.

It has space group Pbcm (No. 57), with a = 9.454 Å, b = 5.698 Å, c = 5.702 Å, α = 90.00°, β = 90.00° and γ = 90.00°. The distinct sites, in fractional coordinates, are Pm at (0.125, 0.001, 0.250), Au at (0.494, 0.250, 0.000), Se at (0.289, 0.504, 0.250) and O at (0.001, 0.750, 0.000).

---

No. 4
Entry from OQMD: crystalline Co2GeAu at its relaxed geometry (PBE).

The value obtained for the energy is -5.2432 eV/atom.

It has space group F-43m (No. 216), with a = 6.069 Å, b = 6.069 Å, c = 6.069 Å, α = 90.00°, β = 90.00° and γ = 90.00°. The distinct sites, in fractional coordinates, are Co at (0.000, 0.000, 0.000), Co at (0.250, 0.250, 0.250), Ge at (0.000, 0.000, 0.500) and Au at (0.250, 0.250, 0.750).

---

No. 5
Entry from OQMD: crystalline NiBiPt at its relaxed geometry (PBE).

The value obtained for the energy is -4.9715 eV/atom. The value obtained for the energy above the most stable polymorph in this dataset is 0.74 eV per formula unit.

It has space group P-62m (No. 189), with a = 7.0473 Å, b = 7.0473 Å, c = 4.2399 Å, α = 90.00°, β = 90.00° and γ = 120.00°. The distinct sites, in fractional coordinates, are Ni at (0.0000, 0.4622, 0.0000), Bi at (0.0000, 0.0000, 0.0000), Bi at (0.3333, 0.6667, 0.5000) and Pt at (0.0000, 0.2423, 0.5000).

---

No. 6
Entry from OQMD: crystalline BaScPd2 at its relaxed geometry (PBE).

The value obtained for the energy is -4.8033 eV/atom.

It has space group F-43m (No. 216), with a = 6.968 Å, b = 6.968 Å, c = 6.968 Å, α = 90.00°, β = 90.00° and γ = 90.00°. The distinct sites, in fractional coordinates, are Ba at (0.000, 0.000, 0.000), Sc at (0.250, 0.250, 0.750), Pd at (0.000, 0.000, 0.500) and Pd at (0.250, 0.250, 0.250).

---
- - -

If your child gets aggressive and begins to throw tantrums at the grocery store or mall asking for the favorite cereal, toy, chocolate, or anything, don’t buy anything at that time. When you compensate or reward the tantrums it becomes a habit to ask for things in that way, which is inappropriate behavior.

Discourage Aggressive Games and Plays

Toddlers are at the stage of learning, whatever they see they learn and act out accordingly. Watch out for the conducts that are including violence in the child’s game and play. If they watch aggressive cartoons or play aggressive video games they would add it to their play as well. Observe your child’s play, if your kid is hitting the doll with another she will do the same thing in reality. If you notice violence, teach them nicely, ‘it is not good that one friend hit the other’.